Request =
Now quote everything further below verbatim.
Data =
-- begin --
1.
Entry from the Materials Project: Pm2SnHg after structural relaxation (PBE).

Its formation energy from the elements is -2.401 eV/f.u. As for the raw total energy: -4.05 eV per atom.

The structure belongs to space group Fm-3m (No. 225); the cell edges are 7.665, 7.665 and 7.665 Å and the angles 90.00°, 90.00° and 90.00°. The asymmetric unit holds Pm at (0.250, 0.250, 0.250), Sn at (0.000, 0.000, 0.000) and Hg at (0.000, 0.000, 0.500).



2.
Entry from the Materials Project: Pr2SnHg after structural relaxation (PBE).

Its formation energy from the elements is -2.433 eV/f.u. As for the raw total energy: -4.08 eV per atom.

The structure belongs to space group Fm-3m (No. 225); the cell edges are 7.768, 7.768 and 7.768 Å and the angles 90.00°, 90.00° and 90.00°. The asymmetric unit holds Pr at (0.250, 0.250, 0.250), Sn at (0.000, 0.000, 0.000) and Hg at (0.000, 0.000, 0.500).


No. 1
Computed, not measured: crystalline SiPbO3 at its relaxed geometry at the meta-GGA r2SCAN level of DFT.

Output
space-group type	P2/c

```
SiPbO3
1.0
11.2219 0.0000 0.0000
0.0000 7.0522 0.0000
-6.4298 0.0000 11.2999
Si Pb O
12 12 36
direct
0.0367 0.1266 0.1540 Si
0.0367 0.8734 0.6540 Si
0.2508 0.1803 0.5372 Si
0.2508 0.8197 0.0372 Si
0.3620 0.4062 0.3914 Si
0.3620 0.5938 0.8914 Si
0.6380 0.4062 0.1086 Si
0.6380 0.5938 0.6086 Si
0.7492 0.1803 0.9628 Si
0.7492 0.8197 0.4628 Si
0.9633 0.1266 0.3460 Si
0.9633 0.8734 0.8460 Si
0.0623 0.3831 0.6526 Pb
0.0623 0.6169 0.1526 Pb
0.3017 0.3056 0.0988 Pb
0.3017 0.6944 0.5988 Pb
0.3724 0.0617 0.8258 Pb
0.3724 0.9383 0.3258 Pb
0.6276 0.0617 0.6742 Pb
0.6276 0.9383 0.1742 Pb
0.6983 0.3056 0.4012 Pb
0.6983 0.6944 0.9012 Pb
0.9377 0.3831 0.8474 Pb
0.9377 0.6169 0.3474 Pb
0.0000 0.2261 0.2500 O
0.0000 0.7739 0.7500 O
0.0997 0.2908 0.1080 O
0.0997 0.7092 0.6080 O
0.1123 0.0548 0.4557 O
0.1123 0.9452 0.9557 O
0.1374 0.0526 0.7107 O
0.1374 0.9474 0.2107 O
0.2173 0.3693 0.5879 O
0.2173 0.6307 0.0879 O
0.2535 0.4256 0.8310 O
0.2535 0.5744 0.3310 O
0.3160 0.2382 0.4531 O
0.3160 0.7618 0.9531 O
0.3602 0.0453 0.6432 O
0.3602 0.9547 0.1432 O
0.4008 0.2861 0.3044 O
0.4008 0.7140 0.8044 O
0.5000 0.5000 0.0000 O
0.5000 0.5000 0.5000 O
0.5992 0.2861 0.1956 O
0.5992 0.7140 0.6956 O
0.6398 0.0453 0.8568 O
0.6398 0.9547 0.3568 O
0.6840 0.2382 0.0469 O
0.6840 0.7618 0.5469 O
0.7465 0.4256 0.6690 O
0.7465 0.5744 0.1690 O
0.7827 0.3693 0.9121 O
0.7827 0.6307 0.4121 O
0.8626 0.0526 0.7893 O
0.8626 0.9474 0.2893 O
0.8877 0.0548 0.0443 O
0.8877 0.9452 0.5443 O
0.9003 0.2908 0.3920 O
0.9003 0.7092 0.8920 O
```

=====

No. 2
Computed, not measured: crystalline SiPbO3 at its relaxed geometry at the meta-GGA r2SCAN level of DFT.

Output
space-group type	R-3

```
SiPbO3
1.0
2.4022 1.3869 6.5561
-2.4022 1.3869 6.5561
0.0000 -2.7738 6.5561
Si Pb O
2 2 6
direct
0.1666 0.1666 0.1666 Si
0.8334 0.8334 0.8334 Si
0.3874 0.3874 0.3874 Pb
0.6126 0.6126 0.6126 Pb
0.0667 0.8340 0.4501 O
0.1660 0.5499 0.9333 O
0.4501 0.0667 0.8340 O
0.5499 0.9333 0.1660 O
0.8340 0.4501 0.0667 O
0.9333 0.1660 0.5499 O
```

=====

No. 3
Computed, not measured: crystalline SnPb2O4 at its relaxed geometry at the meta-GGA r2SCAN level of DFT.

Output
space-group type	P4_2/mbc

```
SnPb2O4
1.0
8.8020 0.0000 0.0000
0.0000 8.8020 0.0000
0.0000 0.0000 6.3584
Sn Pb O
4 8 16
direct
0.0000 0.5000 0.2500 Sn
0.0000 0.5000 0.7500 Sn
0.5000 0.0000 0.2500 Sn
0.5000 0.0000 0.7500 Sn
0.1425 0.1611 0.0000 Pb
0.1611 0.8575 0.5000 Pb
0.3389 0.3575 0.5000 Pb
0.3575 0.6611 0.0000 Pb
0.6425 0.3389 0.0000 Pb
0.6611 0.6425 0.5000 Pb
0.8389 0.1425 0.5000 Pb
0.8575 0.8389 0.0000 Pb
0.0961 0.6239 0.0000 O
0.1239 0.5961 0.5000 O
0.1653 0.3347 0.2500 O
0.1653 0.3347 0.7500 O
0.3347 0.8347 0.2500 O
0.3347 0.8347 0.7500 O
0.3761 0.0961 0.5000 O
0.4039 0.1239 0.0000 O
0.5961 0.8761 0.0000 O
0.6239 0.9039 0.5000 O
0.6653 0.1653 0.2500 O
0.6653 0.1653 0.7500 O
0.8347 0.6653 0.2500 O
0.8347 0.6653 0.7500 O
0.8761 0.4039 0.5000 O
0.9039 0.3761 0.0000 O
```

=====

No. 4
-- stop --
Written answer =
1.
Entry from the Materials Project: Pm2SnHg after structural relaxation (PBE).

Its formation energy from the elements is -2.401 eV/f.u. As for the raw total energy: -4.05 eV per atom.

The structure belongs to space group Fm-3m (No. 225); the cell edges are 7.665, 7.665 and 7.665 Å and the angles 90.00°, 90.00° and 90.00°. The asymmetric unit holds Pm at (0.250, 0.250, 0.250), Sn at (0.000, 0.000, 0.000) and Hg at (0.000, 0.000, 0.500).



2.
Entry from the Materials Project: Pr2SnHg after structural relaxation (PBE).

Its formation energy from the elements is -2.433 eV/f.u. As for the raw total energy: -4.08 eV per atom.

The structure belongs to space group Fm-3m (No. 225); the cell edges are 7.768, 7.768 and 7.768 Å and the angles 90.00°, 90.00° and 90.00°. The asymmetric unit holds Pr at (0.250, 0.250, 0.250), Sn at (0.000, 0.000, 0.000) and Hg at (0.000, 0.000, 0.500).


No. 1
Computed, not measured: crystalline SiPbO3 at its relaxed geometry at the meta-GGA r2SCAN level of DFT.

Output
space-group type	P2/c

```
SiPbO3
1.0
11.2219 0.0000 0.0000
0.0000 7.0522 0.0000
-6.4298 0.0000 11.2999
Si Pb O
12 12 36
direct
0.0367 0.1266 0.1540 Si
0.0367 0.8734 0.6540 Si
0.2508 0.1803 0.5372 Si
0.2508 0.8197 0.0372 Si
0.3620 0.4062 0.3914 Si
0.3620 0.5938 0.8914 Si
0.6380 0.4062 0.1086 Si
0.6380 0.5938 0.6086 Si
0.7492 0.1803 0.9628 Si
0.7492 0.8197 0.4628 Si
0.9633 0.1266 0.3460 Si
0.9633 0.8734 0.8460 Si
0.0623 0.3831 0.6526 Pb
0.0623 0.6169 0.1526 Pb
0.3017 0.3056 0.0988 Pb
0.3017 0.6944 0.5988 Pb
0.3724 0.0617 0.8258 Pb
0.3724 0.9383 0.3258 Pb
0.6276 0.0617 0.6742 Pb
0.6276 0.9383 0.1742 Pb
0.6983 0.3056 0.4012 Pb
0.6983 0.6944 0.9012 Pb
0.9377 0.3831 0.8474 Pb
0.9377 0.6169 0.3474 Pb
0.0000 0.2261 0.2500 O
0.0000 0.7739 0.7500 O
0.0997 0.2908 0.1080 O
0.0997 0.7092 0.6080 O
0.1123 0.0548 0.4557 O
0.1123 0.9452 0.9557 O
0.1374 0.0526 0.7107 O
0.1374 0.9474 0.2107 O
0.2173 0.3693 0.5879 O
0.2173 0.6307 0.0879 O
0.2535 0.4256 0.8310 O
0.2535 0.5744 0.3310 O
0.3160 0.2382 0.4531 O
0.3160 0.7618 0.9531 O
0.3602 0.0453 0.6432 O
0.3602 0.9547 0.1432 O
0.4008 0.2861 0.3044 O
0.4008 0.7140 0.8044 O
0.5000 0.5000 0.0000 O
0.5000 0.5000 0.5000 O
0.5992 0.2861 0.1956 O
0.5992 0.7140 0.6956 O
0.6398 0.0453 0.8568 O
0.6398 0.9547 0.3568 O
0.6840 0.2382 0.0469 O
0.6840 0.7618 0.5469 O
0.7465 0.4256 0.6690 O
0.7465 0.5744 0.1690 O
0.7827 0.3693 0.9121 O
0.7827 0.6307 0.4121 O
0.8626 0.0526 0.7893 O
0.8626 0.9474 0.2893 O
0.8877 0.0548 0.0443 O
0.8877 0.9452 0.5443 O
0.9003 0.2908 0.3920 O
0.9003 0.7092 0.8920 O
```

=====

No. 2
Computed, not measured: crystalline SiPbO3 at its relaxed geometry at the meta-GGA r2SCAN level of DFT.

Output
space-group type	R-3

```
SiPbO3
1.0
2.4022 1.3869 6.5561
-2.4022 1.3869 6.5561
0.0000 -2.7738 6.5561
Si Pb O
2 2 6
direct
0.1666 0.1666 0.1666 Si
0.8334 0.8334 0.8334 Si
0.3874 0.3874 0.3874 Pb
0.6126 0.6126 0.6126 Pb
0.0667 0.8340 0.4501 O
0.1660 0.5499 0.9333 O
0.4501 0.0667 0.8340 O
0.5499 0.9333 0.1660 O
0.8340 0.4501 0.0667 O
0.9333 0.1660 0.5499 O
```

=====

No. 3
Computed, not measured: crystalline SnPb2O4 at its relaxed geometry at the meta-GGA r2SCAN level of DFT.

Output
space-group type	P4_2/mbc

```
SnPb2O4
1.0
8.8020 0.0000 0.0000
0.0000 8.8020 0.0000
0.0000 0.0000 6.3584
Sn Pb O
4 8 16
direct
0.0000 0.5000 0.2500 Sn
0.0000 0.5000 0.7500 Sn
0.5000 0.0000 0.2500 Sn
0.5000 0.0000 0.7500 Sn
0.1425 0.1611 0.0000 Pb
0.1611 0.8575 0.5000 Pb
0.3389 0.3575 0.5000 Pb
0.3575 0.6611 0.0000 Pb
0.6425 0.3389 0.0000 Pb
0.6611 0.6425 0.5000 Pb
0.8389 0.1425 0.5000 Pb
0.8575 0.8389 0.0000 Pb
0.0961 0.6239 0.0000 O
0.1239 0.5961 0.5000 O
0.1653 0.3347 0.2500 O
0.1653 0.3347 0.7500 O
0.3347 0.8347 0.2500 O
0.3347 0.8347 0.7500 O
0.3761 0.0961 0.5000 O
0.4039 0.1239 0.0000 O
0.5961 0.8761 0.0000 O
0.6239 0.9039 0.5000 O
0.6653 0.1653 0.2500 O
0.6653 0.1653 0.7500 O
0.8347 0.6653 0.2500 O
0.8347 0.6653 0.7500 O
0.8761 0.4039 0.5000 O
0.9039 0.3761 0.0000 O
```

=====

No. 4